== Data ==
+++
Entry 1:
KNaCdI2 (PBE, relaxed); energy = -1.89 eV per atom; ΔE_f (raw) = -3.0 eV per formula unit
1.0
-3.6781 2.8857 -3.7397
-2.3834 -5.6624 -2.0251
-4.1770 0.2264 4.2829
I K Na Cd
2 1 1 1
Direct
0.0000 0.0000 0.5000
0.5000 0.0000 0.0000
0.0000 0.5000 0.0000
0.0000 0.0000 0.0000
0.5000 0.5000 0.5000

Entry 2:
K3Na3CdI8 (PBE, relaxed); energy = -2.57 eV per atom; ΔE_f (raw) = -18.0 eV per formula unit
1.0
-5.3099 -4.4164 6.3751
-1.0559 -1.9299 -9.1449
8.0957 -3.1333 4.5723
K I Na Cd
3 8 3 1
Direct
0.0000 0.5000 0.0000
0.0000 0.0000 0.0000
0.5000 0.5000 0.0000
0.7733 0.0158 0.2894
0.7575 0.9842 0.7106
0.2425 0.0158 0.2894
0.2267 0.9842 0.7106
0.2264 0.4527 0.7105
0.7417 0.4835 0.7248
0.2583 0.5165 0.2752
0.7736 0.5473 0.2895
0.5000 0.5000 0.5000
0.5000 0.0000 0.5000
0.0000 0.5000 0.5000
0.0000 0.0000 0.5000

Entry 3:
KNpCdI6 (PBE, relaxed); energy = -3.58 eV per atom; ΔE_f (raw) = -8.0 eV per formula unit
1.0
-4.4544 -5.1061 -4.1971
7.8845 0.2760 -1.1353
1.9548 -10.7217 10.9691
I K Np Cd
12 2 2 2
Direct
0.3651 0.9930 0.6361
0.3721 0.0070 0.1361
0.6279 0.9930 0.8639
0.9930 0.6279 0.3639
0.6349 0.6279 0.1361
0.0070 0.3721 0.6361
0.6349 0.0070 0.3639
0.0070 0.6349 0.8639
0.9930 0.3651 0.1361
0.6279 0.6349 0.6361
0.3651 0.3721 0.8639
0.3721 0.3651 0.3639
0.0000 0.0000 0.5000
0.0000 0.0000 0.0000
0.3333 0.6667 0.2500
0.6667 0.3333 0.7500
0.3333 0.6667 0.7500
0.6667 0.3333 0.2500

Entry 4:
KCdI2O (PBE, relaxed); energy = -2.68 eV per atom; ΔE_f (raw) = -3.3 eV per formula unit
1.0
6.1796 0.0000 0.0000
+++

== Request ==
Set down everything above unchanged.

== Completed ==
Entry 1:
KNaCdI2 (PBE, relaxed); energy = -1.89 eV per atom; ΔE_f (raw) = -3.0 eV per formula unit
1.0
-3.6781 2.8857 -3.7397
-2.3834 -5.6624 -2.0251
-4.1770 0.2264 4.2829
I K Na Cd
2 1 1 1
Direct
0.0000 0.0000 0.5000
0.5000 0.0000 0.0000
0.0000 0.5000 0.0000
0.0000 0.0000 0.0000
0.5000 0.5000 0.5000

Entry 2:
K3Na3CdI8 (PBE, relaxed); energy = -2.57 eV per atom; ΔE_f (raw) = -18.0 eV per formula unit
1.0
-5.3099 -4.4164 6.3751
-1.0559 -1.9299 -9.1449
8.0957 -3.1333 4.5723
K I Na Cd
3 8 3 1
Direct
0.0000 0.5000 0.0000
0.0000 0.0000 0.0000
0.5000 0.5000 0.0000
0.7733 0.0158 0.2894
0.7575 0.9842 0.7106
0.2425 0.0158 0.2894
0.2267 0.9842 0.7106
0.2264 0.4527 0.7105
0.7417 0.4835 0.7248
0.2583 0.5165 0.2752
0.7736 0.5473 0.2895
0.5000 0.5000 0.5000
0.5000 0.0000 0.5000
0.0000 0.5000 0.5000
0.0000 0.0000 0.5000

Entry 3:
KNpCdI6 (PBE, relaxed); energy = -3.58 eV per atom; ΔE_f (raw) = -8.0 eV per formula unit
1.0
-4.4544 -5.1061 -4.1971
7.8845 0.2760 -1.1353
1.9548 -10.7217 10.9691
I K Np Cd
12 2 2 2
Direct
0.3651 0.9930 0.6361
0.3721 0.0070 0.1361
0.6279 0.9930 0.8639
0.9930 0.6279 0.3639
0.6349 0.6279 0.1361
0.0070 0.3721 0.6361
0.6349 0.0070 0.3639
0.0070 0.6349 0.8639
0.9930 0.3651 0.1361
0.6279 0.6349 0.6361
0.3651 0.3721 0.8639
0.3721 0.3651 0.3639
0.0000 0.0000 0.5000
0.0000 0.0000 0.0000
0.3333 0.6667 0.2500
0.6667 0.3333 0.7500
0.3333 0.6667 0.7500
0.6667 0.3333 0.2500

Entry 4:
KCdI2O (PBE, relaxed); energy = -2.68 eV per atom; ΔE_f (raw) = -3.3 eV per formula unit
1.0
6.1796 0.0000 0.0000